Wednesday, May 18, 2005

Reapplying a template to a Sharepoint Site

I needed to reapply a template to a site previously created, but is seems that it is not possible.
At Sharepoint , i created a site applying a template, but then the template changed, and i needed to apply it to the site.

Unfortunately you cannot apply a template to a site once it is created, as far as I know. However what you can do is apply a theme to a site once it has been created. I would suggest using that route or dropping and recreating all of the sites with the new template. Sorry the answer isn't a nice friendly one.

You can find this info at

Reapplying a template

Monday, May 16, 2005

Translating DataViewWebPart Titles to another language

The text is interrupted by crystal structures >
~~~
1.
Starting from a structure optimized by DFT (GGA-PBE), the powder diffraction line list of Pm5Nd2Sc was simulated for Cu Kα.
No peak broadening, texture or thermal motion is included.

Top 10 peaks for 2θ from 10° to 80°, in order of rising 2θ:
2θ (°)  d_spacing  intensity
10.63  8.324  3.0
30.32  2.948  100.0
35.07  2.559  34.0
35.30  2.543  16.4
50.44  1.809  12.0
50.61  1.804  23.4
59.99  1.542  28.3
60.29  1.535  13.5
63.06  1.474  12.0
74.11  1.279  3.8

Atomic structure:
a b c (Å): 10.171 14.484 3.616
angles (deg): 90.00 90.00 90.00
Sites, in units of the cell vectors:
Pm1 0.000 0.000 0.000
Pm2 0.242 0.379 0.500
Pm3 0.242 0.621 0.500
Pm4 0.258 0.121 0.500
Pm5 0.258 0.879 0.500
Pm6 0.500 0.500 0.000
Pm7 0.742 0.121 0.500
Pm8 0.742 0.879 0.500
Pm9 0.758 0.379 0.500
Pm10 0.758 0.621 0.500
Nd1 0.000 0.249 0.000
Nd2 0.000 0.751 0.000
Nd3 0.500 0.251 0.000
Nd4 0.500 0.749 0.000
Sc1 0.000 0.500 0.000
Sc2 0.500 0.000 0.000

---

2.
Starting from a structure optimized by DFT (GGA-PBE), the powder diffraction line list of Pm4NdSc2 was simulated for Cu Kα.
No peak broadening, texture or thermal motion is included.

Top 10 peaks for 2θ from 10° to 80°, in order of rising 2θ:
2θ (°)  d_spacing  intensity
22.38  3.973  33.7
29.69  3.009  23.0
29.97  2.982  100.0
30.88  2.896  44.2
31.26  2.862  64.0
32.82  2.729  54.7
33.24  2.695  20.2
33.91  2.643  56.6
34.56  2.596  56.6
41.32  2.185  42.6

Atomic structure:
a b c (Å): 8.690 6.473 8.962
angles (deg): 90.00 117.55 90.00
Sites, in units of the cell vectors:
Pm1 0.006 0.250 0.065
Pm2 0.056 0.750 0.331
Pm3 0.408 0.506 0.272
Pm4 0.408 0.994 0.272
Pm5 0.592 0.006 0.728
Pm6 0.592 0.494 0.728
Pm7 0.944 0.250 0.669
Pm8 0.994 0.750 0.935
Nd1 0.249 0.750 0.761
Nd2 0.751 0.250 0.239
Sc1 0.202 0.250 0.500
Sc2 0.365 0.250 0.919
Sc3 0.635 0.750 0.081
Sc4 0.798 0.750 0.500

---

3.
Starting from a structure optimized by DFT (GGA-PBE), the powder diffraction line list of Pm2Nd5Sc2 was simulated for Cu Kα.
No peak broadening, texture or thermal motion is included.

Top 10 peaks for 2θ from 10° to 80°, in order of rising 2θ:
2θ (°)  d_spacing  intensity
28.69  3.111  28.6
28.81  3.099  18.2
31.01  2.884  49.2
31.74  2.819  100.0
33.38  2.684  64.8
33.53  2.672  29.4
45.40  1.998  16.0
50.59  1.804  24.7
54.51  1.683  18.7
60.54  1.529  27.9

Atomic structure:
a b c (Å): 9.534 9.534 9.595
angles (deg): 115.10 115.10 21.91
Sites, in units of the cell vectors:
~~~

Translating a DataView WebPart to another language.

Today i needed to modify a template i have.
It did not seem to be difficult because i must take a template and translate words to spanish.
But when i needed to modify the titles of a webpart called DataView with FronPage it did not give any possibility so as to do it.
The problem began when i modified , to spanish, the Fields Name but the fields titles on the grid remained on English.
So that i carefully found where was the fieldtitle attribute on the webpart and modified it to a spanish word.

I realized to do that , previously going to the Insert/Database/Data View Menu at FrontPage and inserting a new DataViewWebPart with the previous translated fields.

Monday, May 09, 2005

Sql database comparison tool

____________
Li3Fe5OF11: computed PXRD pattern (λ = 1.5418 Å (Cu Kα)), based on a crystal structure in Alexandria, relaxed with GGA+U.
Lines closer than 0.1° are merged.

Structural model:
abc: 5.8409 5.9124 8.9380
angles: 83.57 82.42 62.89
Sites, in units of the cell vectors:
Li 0.0000 0.0000 0.0000
Li 0.0907 0.1578 0.4369
Li 0.4568 0.3797 0.4647
Fe 0.4882 0.0146 0.0565
Fe 0.5044 0.5427 0.8621
Fe 0.5972 0.0516 0.7280
Fe 0.7801 0.7600 0.4631
Fe 0.9416 0.5250 0.1807
O 0.6706 0.1627 0.9141
F 0.1369 0.1239 0.1761
F 0.1391 0.4978 0.3785
F 0.1581 0.6206 0.0225
F 0.3051 0.9615 0.8694
F 0.4000 0.4419 0.6714
F 0.4210 0.0441 0.5152
F 0.6421 0.6203 0.0519
F 0.7145 0.4756 0.3719
F 0.7301 0.9209 0.2337
F 0.7408 0.6631 0.7002
F 0.8895 0.0105 0.5426

Largest 8 diffraction maxima, most intense first, 15 to 90 degrees two-theta:
d (Å)	intensity	h k l
____________

That is just help to my memory, when i am trying to search a tool so as to compare two Microsoft® SQL Server© databases.

Apex SQL Diff is a server based, high speed database comparison tool that will analyze the differences in tables, procedures, views, users etc between two Microsoft® SQL Server© databases in seconds.

It can be found here:

Apex Sql Diff

Monday, May 02, 2005

Multiple filters on a SQL WHERE clause

Sometimes I had to develop a report or a something to show data, but previously the user‘d have the possibility to apply multiple filters so as so view the info that wants to be found.

As ever I designed the User Interface with the filters then passed the filters through the different layers and finally, they came to a stored procedure that makes the query.

It returns the data and that’s all.

Several times I heard some colleagues telling that they must show data applying multiple filters and they finally at the stored procedure did not find another way to make the query than building a string and then executing it with the EXEC sql Command or making several SELECT sentences.

# Crystal structures from another source follow
........
Mn3Ag4O8: calculated X-ray diffraction stick pattern (Cu Kα (λ = 1.5418 Å)), based on a structure optimized by DFT (PBE+U).

Principal peaks in the range 10 to 90 degrees two-theta, by angle:
2θ/deg	I (rel.)
29.41	29
29.53	100
29.78	60
32.71	99
35.52	87
36.93	86
40.92	42
42.07	33
42.24	33
65.62	31

Crystal structure
Cell lengths 9.0742, 9.0742, 9.0742 Å; angles 90.53, 90.53, 90.53 degrees
Fractional coordinates of all 60 atoms:
Mn 0.0000 0.5394 0.4606
Mn 0.0407 0.2906 0.2495
Mn 0.2079 0.7921 0.5000
Mn 0.2495 0.0407 0.2906
Mn 0.2906 0.2495 0.0407
Mn 0.4606 0.0000 0.5394
Mn 0.5000 0.2079 0.7921
Mn 0.5394 0.4606 0.0000
Mn 0.7094 0.9593 0.7505
Mn 0.7505 0.7094 0.9593
Mn 0.7921 0.5000 0.2079
Mn 0.9593 0.7505 0.7094
Ag 0.0000 0.0000 0.0000
Ag 0.1056 0.1141 0.7137
Ag 0.1141 0.7137 0.1056
Ag 0.1643 0.5000 0.8357
Ag 0.2847 0.3636 0.5563
Ag 0.2863 0.8859 0.8944
Ag 0.3636 0.5563 0.2847
Ag 0.4437 0.6364 0.7153
Ag 0.5000 0.8357 0.1643
Ag 0.5563 0.2847 0.3636
Ag 0.6364 0.7153 0.4437
Ag 0.7137 0.1056 0.1141
Ag 0.7153 0.4437 0.6364
Ag 0.8357 0.1643 0.5000
Ag 0.8859 0.8944 0.2863
Ag 0.8944 0.2863 0.8859
O 0.0092 0.5104 0.2416
O 0.0255 0.3288 0.4588
O 0.0421 0.0813 0.2781
O 0.0813 0.2781 0.0421
O 0.1706 0.7764 0.7083
O 0.2071 0.5813 0.4706
O 0.2236 0.8294 0.2917
O 0.2416 0.0092 0.5104
O 0.2602 0.2602 0.2602
O 0.2781 0.0421 0.0813
O 0.2917 0.2236 0.8294
O 0.3288 0.4588 0.0255
O 0.4187 0.7929 0.5294
O 0.4588 0.0255 0.3288
O 0.4706 0.2071 0.5813
O 0.4896 0.9908 0.7584
O 0.5104 0.2416 0.0092
........

I published an article about applying several filters on on a SQL WHERE clause

You can find it at